Give back only the last part of the calculation results below, starting with the line that has "Pna2_1 (33)".

........
[1]
{
  "formula": "BaAgSbS3O",
  "functional": "PBE-GGA",
  "state": "optimized geometry",
  "lattice_angstrom": [[19.043, 0.000, 0.000], [0.000, 8.784, 0.000], [0.000, 0.000, 9.130]],
  "species": ["Ba", "Ba", "Ba", "Ba", "Ba", "Ba", "Ba", "Ba", "Ag", "Ag", "Ag", "Ag", "Ag", "Ag", "Ag", "Ag", "Sb", "Sb", "Sb", "Sb", "Sb", "Sb", "Sb", "Sb", "S", "S", "S", "S", "S", "S", "S", "S", "S", "S", "S", "S", "S", "S", "S", "S", "S", "S", "S", "S", "S", "S", "S", "S", "O", "O", "O", "O", "O", "O", "O", "O"],
  "fractional_positions": [[0.051, 0.074, 0.000], [0.208, 0.705, 0.209], [0.292, 0.205, 0.709], [0.449, 0.574, 0.500], [0.551, 0.426, 0.000], [0.708, 0.795, 0.209], [0.792, 0.295, 0.709], [0.949, 0.926, 0.500], [0.143, 0.407, 0.470], [0.145, 0.439, 0.935], [0.355, 0.939, 0.435], [0.357, 0.907, 0.970], [0.643, 0.093, 0.470], [0.645, 0.061, 0.935], [0.855, 0.561, 0.435], [0.857, 0.593, 0.970], [0.007, 0.542, 0.200], [0.245, 0.676, 0.703], [0.255, 0.176, 0.203], [0.493, 0.042, 0.700], [0.507, 0.958, 0.200], [0.745, 0.824, 0.703], [0.755, 0.324, 0.203], [0.993, 0.458, 0.700], [0.069, 0.654, 0.413], [0.070, 0.678, 0.005], [0.104, 0.299, 0.711], [0.143, 0.321, 0.199], [0.225, 0.004, 0.997], [0.225, 0.012, 0.410], [0.275, 0.504, 0.497], [0.275, 0.512, 0.910], [0.357, 0.821, 0.699], [0.396, 0.799, 0.211], [0.430, 0.178, 0.505], [0.431, 0.154, 0.913], [0.569, 0.846, 0.413], [0.570, 0.822, 0.005], [0.604, 0.201, 0.711], [0.643, 0.179, 0.199], [0.725, 0.488, 0.410], [0.725, 0.496, 0.997], [0.775, 0.988, 0.910], [0.775, 0.996, 0.497], [0.857, 0.679, 0.699], [0.896, 0.701, 0.211], [0.930, 0.322, 0.505], [0.931, 0.346, 0.913], [0.029, 0.988, 0.727], [0.037, 0.991, 0.281], [0.463, 0.491, 0.781], [0.471, 0.488, 0.227], [0.529, 0.512, 0.727], [0.537, 0.509, 0.281], [0.963, 0.009, 0.781], [0.971, 0.012, 0.227]],
  "spacegroup": "Pna2_1 (33)"
}

[2]
{
  "formula": "SbKr3F11",
  "functional": "PBE-GGA",
  "state": "optimized geometry",
  "lattice_angstrom": [[8.269, 0.000, 0.000], [1.024, 8.816, 0.000], [4.054, 2.724, 7.875]],
  "species": ["Sb", "Sb", "Kr", "Kr", "Kr", "Kr", "Kr", "Kr", "F", "F", "F", "F", "F", "F", "F", "F", "F", "F", "F", "F", "F", "F", "F", "F", "F", "F", "F", "F", "F", "F"],
  "fractional_positions": [[0.210, 0.322, 0.221], [0.790, 0.678, 0.779], [0.183, 0.329, 0.730], [0.264, 0.834, 0.219], [0.310, 0.852, 0.707], [0.690, 0.148, 0.293], [0.736, 0.166, 0.781], [0.817, 0.671, 0.270], [0.012, 0.199, 0.699], [0.040, 0.679, 0.623], [0.138, 0.205, 0.115], [0.174, 0.521, 0.072], [0.185, 0.925, 0.902], [0.238, 0.121, 0.375], [0.275, 0.438, 0.330], [0.354, 0.440, 0.737], [0.438, 0.788, 0.508], [0.456, 0.317, 0.067], [0.497, 0.118, 0.845], [0.503, 0.882, 0.155], [0.544, 0.683, 0.933], [0.562, 0.212, 0.492], [0.646, 0.560, 0.263], [0.725, 0.562, 0.670], [0.762, 0.879, 0.625], [0.815, 0.075, 0.098], [0.826, 0.479, 0.928], [0.862, 0.795, 0.885], [0.960, 0.321, 0.377], [0.988, 0.801, 0.301]],
  "spacegroup": "P-1 (2)"
}

[3]
{
  "formula": "CeSI",
  "functional": "PBE-GGA",
  "state": "optimized geometry",
  "lattice_angstrom": [[7.045, 0.000, 0.000], [0.000, 14.437, 0.000], [0.000, 0.000, 7.316]],
  "species": ["Ce", "Ce", "Ce", "Ce", "Ce", "Ce", "Ce", "Ce", "S", "S", "S", "S", "S", "S", "S", "S", "I", "I", "I", "I", "I", "I", "I", "I"],
  "fractional_positions": [[0.242, 0.082, 0.029], [0.242, 0.418, 0.529], [0.258, 0.582, 0.029], [0.258, 0.918, 0.529], [0.742, 0.082, 0.471], [0.742, 0.418, 0.971], [0.758, 0.582, 0.471], [0.758, 0.918, 0.971], [0.001, 0.023, 0.742], [0.001, 0.477, 0.242], [0.499, 0.523, 0.742], [0.499, 0.977, 0.242], [0.501, 0.023, 0.758], [0.501, 0.477, 0.258], [0.999, 0.523, 0.758], [0.999, 0.977, 0.258], [0.183, 0.699, 0.406], [0.183, 0.801, 0.906], [0.317, 0.199, 0.406], [0.317, 0.301, 0.906], [0.683, 0.699, 0.094], [0.683, 0.801, 0.594], [0.817, 0.199, 0.094], [0.817, 0.301, 0.594]],
  "spacegroup": "Pbca (61)"
}

[4]
{
  "formula": "PrNiSnH",
  "functional": "PBE-GGA",
  "state": "optimized geometry",
........

  "spacegroup": "Pna2_1 (33)"
}

[2]
{
  "formula": "SbKr3F11",
  "functional": "PBE-GGA",
  "state": "optimized geometry",
  "lattice_angstrom": [[8.269, 0.000, 0.000], [1.024, 8.816, 0.000], [4.054, 2.724, 7.875]],
  "species": ["Sb", "Sb", "Kr", "Kr", "Kr", "Kr", "Kr", "Kr", "F", "F", "F", "F", "F", "F", "F", "F", "F", "F", "F", "F", "F", "F", "F", "F", "F", "F", "F", "F", "F", "F"],
  "fractional_positions": [[0.210, 0.322, 0.221], [0.790, 0.678, 0.779], [0.183, 0.329, 0.730], [0.264, 0.834, 0.219], [0.310, 0.852, 0.707], [0.690, 0.148, 0.293], [0.736, 0.166, 0.781], [0.817, 0.671, 0.270], [0.012, 0.199, 0.699], [0.040, 0.679, 0.623], [0.138, 0.205, 0.115], [0.174, 0.521, 0.072], [0.185, 0.925, 0.902], [0.238, 0.121, 0.375], [0.275, 0.438, 0.330], [0.354, 0.440, 0.737], [0.438, 0.788, 0.508], [0.456, 0.317, 0.067], [0.497, 0.118, 0.845], [0.503, 0.882, 0.155], [0.544, 0.683, 0.933], [0.562, 0.212, 0.492], [0.646, 0.560, 0.263], [0.725, 0.562, 0.670], [0.762, 0.879, 0.625], [0.815, 0.075, 0.098], [0.826, 0.479, 0.928], [0.862, 0.795, 0.885], [0.960, 0.321, 0.377], [0.988, 0.801, 0.301]],
  "spacegroup": "P-1 (2)"
}

[3]
{
  "formula": "CeSI",
  "functional": "PBE-GGA",
  "state": "optimized geometry",
  "lattice_angstrom": [[7.045, 0.000, 0.000], [0.000, 14.437, 0.000], [0.000, 0.000, 7.316]],
  "species": ["Ce", "Ce", "Ce", "Ce", "Ce", "Ce", "Ce", "Ce", "S", "S", "S", "S", "S", "S", "S", "S", "I", "I", "I", "I", "I", "I", "I", "I"],
  "fractional_positions": [[0.242, 0.082, 0.029], [0.242, 0.418, 0.529], [0.258, 0.582, 0.029], [0.258, 0.918, 0.529], [0.742, 0.082, 0.471], [0.742, 0.418, 0.971], [0.758, 0.582, 0.471], [0.758, 0.918, 0.971], [0.001, 0.023, 0.742], [0.001, 0.477, 0.242], [0.499, 0.523, 0.742], [0.499, 0.977, 0.242], [0.501, 0.023, 0.758], [0.501, 0.477, 0.258], [0.999, 0.523, 0.758], [0.999, 0.977, 0.258], [0.183, 0.699, 0.406], [0.183, 0.801, 0.906], [0.317, 0.199, 0.406], [0.317, 0.301, 0.906], [0.683, 0.699, 0.094], [0.683, 0.801, 0.594], [0.817, 0.199, 0.094], [0.817, 0.301, 0.594]],
  "spacegroup": "Pbca (61)"
}

[4]
{
  "formula": "PrNiSnH",
  "functional": "PBE-GGA",
  "state": "optimized geometry",